## Work order
Search the notes underneath for the word "an" and reproduce each line that has it, please.

## Entries
........
1.
# CH6N4OS2

A single CH6N4OS2 molecule (ωB97M-V/def2-TZVPD, the Open Molecules 2025 dataset).

XYZ file:
```
14
Properties=species:S:1:pos:R:3
N -1.6063 1.7114 0.8274
S -0.8064 0.2553 0.2794
N -0.7714 0.1097 -1.4129
O -1.0112 -1.0648 0.8468
N 0.7701 0.8068 0.5258
C 1.9435 0.0476 0.4452
N 1.7998 -1.2418 0.7197
S 3.4062 0.6528 0.0145
H -2.4852 1.1748 0.9937
H -0.3302 -0.7844 -1.5642
H -0.3147 0.9284 -1.9562
H 0.9869 1.7353 0.7506
H 0.8559 -1.5417 0.7764
H 2.6667 -1.7686 0.7861
```

Summary:
Energy relative to the best compared isomer or geometry (same formula, charge and spin) in kcal/mol: 20.7
E_HOMO in eV: -8.855
Max |F| in eV/A: 6.1
E_tot in eV: -30810.1653
SMILES string: N=[S@](N)(=O)NC(N)=S
Molar mass in g/mol: 154.2

2.
# CH6NO2

2 unconnected molecules or ions with the total composition CH6NO2 (ωB97M-V/def2-TZVPD, the Open Molecules 2025 dataset).

XYZ file:
```
10
Properties=species:S:1:pos:R:3
O 1.2246 1.7083 1.7342
H 1.5020 0.9478 2.2441
N -0.5182 0.3850 0.1025
C -0.1105 -0.5939 -0.8265
O -1.1262 -1.5837 -1.2265
H 0.5842 1.2704 1.0604
H -0.9421 1.1219 -0.4653
H 0.1992 -0.2585 -1.8248
H 0.7440 -1.1193 -0.3664
H -1.5570 -1.8779 -0.4318
```

Summary:
Energy relative to the best compared isomer or geometry (same formula, charge and spin) in kcal/mol: 16.4
E_HOMO in eV: -2.616
Max |F| in eV/A: 0.9
E_tot in eV: -6719.1181
Molar mass in g/mol: 64.1
Charge: -1

3.
# CH6NO2

2 unconnected molecules or ions with the total composition CH6NO2 (ωB97M-V/def2-TZVPD, the Open Molecules 2025 dataset).

XYZ file:
```
10
Properties=species:S:1:pos:R:3
O 0.1408 -1.9467 -0.5139
H 0.9259 -1.9010 -1.0698
H 0.0479 -2.8744 -0.2698
H 1.4110 1.7653 -0.8346
C -0.0742 1.2809 0.2381
N -0.8429 0.3605 0.6772
O 0.9959 0.9892 -0.4295
H -0.2763 2.3179 0.4629
H -0.6634 -0.6498 0.5596
H -1.6646 0.6581 1.1798
```

Summary:
Energy relative to the best compared isomer or geometry (same formula, charge and spin) in kcal/mol: 8.8
E_HOMO in eV: -16.190
Max |F| in eV/A: 0.7
E_tot in eV: -6712.7710
Molar mass in g/mol: 64.1
Charge: +1

4.
# CH6NO3P2

2 unconnected molecules or ions with the total composition CH6NO3P2 (ωB97M-V/def2-TZVPD, the Open Molecules 2025 dataset).

XYZ file:
```
13
Properties=species:S:1:pos:R:3
C -0.7890 -0.8703 1.1455
N -0.6636 0.0190 -1.7103
O -0.7322 1.6663 0.3306
O -2.8530 0.3054 -0.1427
O 2.5875 0.0155 0.5225
P 2.9222 0.5049 -0.8057
P -1.3525 0.2300 -0.2419
H -1.0612 -1.9029 0.7911
H 0.3149 -0.9426 1.0149
H -1.0508 -0.7590 2.1321
H 0.3143 0.1893 -1.6037
H 0.3179 1.7092 0.1789
H 2.0455 -0.1648 -1.6113
```

Summary:
Energy relative to the best compared isomer or geometry (same formula, charge and spin) in kcal/mol: 77.7
E_HOMO in eV: -3.855
Max |F| in eV/A: 5.1
E_tot in eV: -27345.7303
Molar mass in g/mol: 142.0
Charge: -1

* * * * *

# 1
# C41H49FN7O5ReSi2

C41H49FN7O5ReSi2 as an isolated structure in a non-equilibrium geometry (ωB97M-V/def2-TZVPD, OMol25).

## Properties
Highest occupied orbital energy (spin up / spin down) in eV: -7.105 / -7.092
Charge: +1
Frontier orbital gap (spin up / spin down) in eV: 3.9 / 3.9
Relative energy (zero: lowest compared OMol25 entry of this formula, charge and spin) in kJ/mol: 567.6
2S+1: 2

Positions of all 106 atoms, in Å:
Re 0.05587 2.24151 2.60755
O 2.90851 3.32693 -0.31409
C 1.97886 3.25144 0.48032
N 1.94779 2.68804 1.70516
C 3.12457 2.42254 2.40087
C 4.43281 2.77291 2.07669
C 5.44269 2.55865 3.00992
C 5.16568 2.03501 4.26452
C 3.86202 1.67125 4.58463
C 2.86633 1.82478 3.62817
N 1.52742 1.40722 3.76532
C 1.29040 0.30871 4.49121
O 2.33480 -0.65714 4.69299
C -0.04684 -0.08789 4.66326
C -0.48836 -1.15897 5.44740
C -1.83316 -1.30924 5.64955
C -2.70764 -0.36858 5.09734
C -2.20480 0.64939 4.32331
N -0.88864 0.78422 4.06068
C 0.69406 3.96861 0.22637
C 0.46974 4.70822 -0.91618
C -0.68717 5.46379 -1.00078
C -1.54540 5.48271 0.08931
C -1.25813 4.70192 1.19267
N -0.17166 3.91597 1.24963
H 4.64977 3.21348 1.11747
H 6.45806 2.83537 2.76008
H 5.94964 1.92839 5.00150
H 3.61107 1.38135 5.60401
........

## Result
C41H49FN7O5ReSi2 as an isolated structure in a non-equilibrium geometry (ωB97M-V/def2-TZVPD, OMol25).